**Input:**
<<<
# C4H12S

2 unconnected molecules or ions with the total composition C4H12S in a non-equilibrium geometry (ωB97M-V/def2-TZVPD, the Open Molecules 2025 dataset).

Last column: Mulliken charge in e.
Element x y z (Å)
S -0.39338 1.16666 3.22121  -0.07
C 0.90543 -1.28214 -3.03028  -0.82
C -1.93375 1.13731 2.29271  -0.72
C 0.85557 1.75169 2.08077  -0.79
C 0.35244 -2.06265 -1.82102  -0.60
H 0.62057 1.60906 1.02184  0.24
H -2.60606 0.37224 2.66812  0.30
H -2.46719 2.08790 2.32292  0.28
H -1.73275 0.91255 1.24361  0.18
H -0.47309 -2.72903 -2.04228  0.29
H 0.28049 -0.40719 -3.23137  0.26
H 1.01527 2.81463 2.22403  0.28
H 1.14194 -2.51289 -1.22545  0.27
H -0.09736 -1.30470 -1.16400  0.05
H 1.76768 1.17438 2.19113  0.30
H 0.91055 -1.95804 -3.88217  0.26
H 1.85365 -0.76980 -2.86977  0.29

## Properties
- HOMO: -0.3109 Ha
- Charge: 0
- Spin multiplicity: 1
- E_LUMO: 0.86 eV

----------

# 1
Computed, not measured: C30H30BeNO5P as an isolated structure in a non-equilibrium geometry, with ωB97M-V/def2-TZVPD.

Output
highest occupied orbital energy = -7.631 eV
energy above the lowest of the compared OMol25 structures with the same formula, charge and spin = 4.9 kcal/mol

Element x y z (Å)
Be  2.552  -0.455  -0.586
O  3.581  -3.874  -1.413
C  2.831  -2.941  -1.571
O  3.060  -1.674  -1.242
C  1.364  -3.168  -2.089
P  0.214  -1.947  -1.234
C  0.180  -2.483  0.517
C  -0.243  -1.470  1.413
C  -0.357  -1.672  2.763
C  -0.067  -2.956  3.235
C  0.373  -3.976  2.439
C  0.409  -3.740  1.089
C  -1.395  -2.480  -1.977
C  -1.784  -1.833  -3.177
C  -2.940  -2.220  -3.867
C  -3.645  -3.315  -3.423
C  -3.292  -3.964  -2.253
C  -2.189  -3.554  -1.555
H  1.025  -4.192  -1.964
H  1.319  -2.881  -3.105
H  -0.545  -0.526  1.040
H  -0.613  -0.869  3.425
H  -0.243  -3.174  4.276
H  0.497  -4.991  2.864
H  0.758  -4.550  0.407
H  -1.161  -1.142  -3.746
H  -3.115  -1.794  -4.859
H  -4.573  -3.692  -3.947
H  -3.834  -4.839  -1.980
H  -1.871  -4.108  -0.666
C  3.275  -1.321  1.918
O  3.006  -0.231  1.002
H  2.457  -1.349  2.684
H  4.191  -1.195  2.447
H  3.182  -2.212  1.272
H  2.768  0.567  1.506
C  -0.711  2.818  4.668
C  -1.045  2.592  3.240
C  -2.329  2.124  2.880
C  -2.678  1.900  1.557
C  -1.729  2.181  0.574
C  -0.475  2.649  0.936
N  0.523  2.692  -0.088
C  0.355  3.142  -1.373
C  -0.554  4.151  -1.630
C  -0.766  4.590  -2.935
C  -0.069  4.015  -3.956
C  0.905  3.057  -3.711
C  1.047  2.516  -2.425
C  1.880  1.265  -2.262
O  2.156  0.510  -3.156
O  2.304  0.982  -1.029
C  -0.065  2.825  2.264
C  1.332  3.163  2.567
H  -1.584  2.582  5.284
H  -0.510  3.892  4.792
H  0.148  2.187  4.937
H  -3.008  1.978  3.698
H  -3.652  1.489  1.295
H  -1.937  2.061  -0.475
H  1.268  2.029  0.081
H  -1.127  4.615  -0.816
H  -1.432  5.424  -3.142
H  -0.166  4.369  -4.949
H  1.577  2.667  -4.468
H  1.850  3.612  1.722
H  1.972  2.270  2.867
H  1.345  3.872  3.414

Results of the Löwdin charge analysis, in e, for atoms 1 through 2:
1. Be 0.148
2. O 0.084

***

# 2
Computed, not measured: C30H30BrMnNO7P2S as an isolated structure in a non-equilibrium geometry, with ωB97M-V/def2-TZVPD.

Output
multiplicity = 4
highest occupied orbital energy (spin up / spin down) = -7.523 / -7.505 eV
energy above the lowest of the compared OMol25 structures with the same formula, charge and spin = 16.2 kcal/mol

Element x y z (Å)
Mn  0.896  1.097  -0.599
C  3.229  1.995  1.972
P  2.271  0.608  1.296
C  1.367  -0.070  2.666
C  3.456  -0.682  0.780
C  2.899  -1.611  -0.378
P  2.202  -0.599  -1.719
C  1.232  -1.788  -2.572
C  3.419  0.011  -2.950
H  2.503  2.800  2.089
H  3.981  2.343  1.216
H  3.851  1.821  2.869
H  1.980  -0.109  3.525
H  1.085  -1.096  2.426
H  0.401  0.578  2.870
H  3.561  -1.317  1.672
H  4.373  -0.341  0.348
H  2.066  -2.242  -0.186
H  3.670  -2.251  -0.886
H  0.480  -1.365  -3.287
H  0.588  -2.333  -1.840
H  1.913  -2.457  -3.055
H  3.999  -0.805  -3.437
H  4.054  0.759  -2.537
H  2.807  0.449  -3.735
O  -0.716  4.540  -6.429
C  -0.564  3.322  -6.270
O  -0.492  2.416  -7.106
>>>

**To do:**
Retype every line further above that contains the word "column".

**Written answer:**
Last column: Mulliken charge in e.